## Request
Now duplicate the lines underneath from the first line to the one with "trigonal" without additions.

## Listing
-- begin --
Here is MgPt2Pb after structural relaxation from the Alexandria database. Energies are from PBE.

Unit cell a=5.9597 b=6.9597 c=3.5677 alpha=90.00 beta=90.00 gamma=90.00
Closest atoms and distances in Å follow each position.
Space group Cmmm (No. 65)
Unique sites:
Mg 0.0000 0.0000 0.0000  8 Pt 2.90, 2 Pb 2.98
Pt 0.2500 0.2500 0.5000  4 Pb 2.90, 4 Mg 2.90, 2 Pt 2.98
Pb 0.0000 0.5000 0.0000  8 Pt 2.90, 2 Mg 2.98

ρ, Mg/m³: 13.95
Formation energy, kJ per mole of atoms: -37
Final energy, eV per atom: -4.726

***

Here is RbNaTiSe3 after structural relaxation from the Alexandria database. Energies are from PBE.

Unit cell a=7.5488 b=14.0084 c=7.0386 alpha=90.00 beta=90.00 gamma=90.00
Closest atoms and distances in Å follow each position.
Space group Cmcm (No. 63)
Unique sites:
Rb 0.0000 0.2346 0.2500  4 Se 3.52-3.82
Na 0.0000 0.4259 0.7500  5 Se 2.86-2.92
Ti 0.0000 0.0546 0.7500  5 Se 2.35-2.55
Se 0.0000 0.2221 0.7500  1 Ti 2.35
Se 0.2230 0.0000 0.0000  2 Ti 2.55

ρ, Mg/m³: 3.51
Energy relative to the elements, uncorrected, eV/atom: -1.18
Final energy, eV per atom: -4.624

***

Here is Cd2Ni2Ir after structural relaxation from the Alexandria database. Energies are from PBE.

Unit cell a=6.2681 b=6.2681 c=4.0554 alpha=90.00 beta=90.00 gamma=90.00
Closest atoms and distances in Å follow each position.
Space group P4/mbm (No. 127)
Unique sites:
Cd 0.1778 0.3222 0.0000  6 Ni 2.66-2.81
Ni 0.1280 0.6280 0.5000  1 Ni 2.27, 2 Ir 2.47
Ir 0.0000 0.0000 0.5000  4 Ni 2.47

ρ, Mg/m³: 11.14
Formation energy, kJ per mole of atoms: 19
E above lowest polymorph, meV per atom: 0.0
Final energy, eV per atom: -4.256

***

Here is Ba5Sr5Ca after structural relaxation from the Alexandria database. Energies are from PBE.

Unit cell a=7.3406 b=7.3406 c=14.1345 alpha=90.00 beta=90.00 gamma=120.00
Closest atoms and distances in Å follow each position.
Space group P-6m2 (No. 187)
Unique sites:
Ba 0.0000 0.0000 0.2427  1 Sr 3.64, 3 Ba 4.06
Ba 0.3419 0.1709 0.0000  4 Ba 3.58-3.76
Sr 0.0000 0.0000 0.5000  2 Ba 3.64
Sr 0.3333 0.6667 0.1899  9 Ba 4.30-4.55, 1 Ca 4.38, 3 Sr 4.71
Sr 0.6667 0.3333 0.3352  3 Ba 4.44, 7 Sr 4.66-4.84, 3 Ca 4.84
Ca 0.3333 0.6667 0.5000  5 Sr 4.24-4.38

ρ, Mg/m³: 2.93
Formation energy, kJ per mole of atoms: 23
Final energy, eV per atom: -1.577

***

Here is YSc2Al9 after structural relaxation from the Alexandria database. Energies are from PBE.

Unit cell a=4.1593 b=4.1593 c=12.4529 alpha=90.00 beta=90.00 gamma=90.00
Closest atoms and distances in Å follow each position.
Space group P4/mmm (No. 123)
Unique sites:
Y 0.0000 0.0000 0.0000  12 Al 2.94-3.01
Sc 0.0000 0.0000 0.3370  12 Al 2.90-2.94
Al 0.0000 0.5000 0.1744  8 Al 2.89-3.01, 2 Sc 2.90, 2 Y 3.01
Al 0.0000 0.5000 0.5000  4 Sc 2.91, 8 Al 2.92-2.94
Al 0.5000 0.5000 0.0000  4 Y 2.94, 8 Al 3.01
Al 0.5000 0.5000 0.3359  8 Al 2.89-2.92, 4 Sc 2.94

ρ, Mg/m³: 3.25
Formation energy, kJ per mole of atoms: -42
E above lowest polymorph, meV per atom: 0.0
Final energy, eV per atom: -4.839

~~~~~

Record 1
The following is a PBE-GGA calculation of K2PuCoH6 after structural relaxation, from the Alexandria database.

a = 5.6931 Å, b = 5.6931 Å, c = 5.8491 Å
α = 90.00°, β = 90.00°, γ = 120.00°
Space group P-3m1 (No. 164)
Inequivalent atoms, fractional coordinates:
K 0.3333 0.6667 0.3670 x2
Pu 0.0000 0.0000 0.0000 x1
Co 0.0000 0.0000 0.5000 x1
H 0.1287 0.2575 0.6611 x6

* magnetic moment: 6.8 μB per formula unit
* crystal system: trigonal

=====

Record 2
The following is a PBE-GGA calculation of K2Rb2CoH6 after structural relaxation, from the Alexandria database.

a = 6.319 Å, b = 12.504 Å, c = 6.256 Å
α = 90.00°, β = 94.09°, γ = 90.00°
Space group C2/m (No. 12)
Inequivalent atoms, fractional coordinates:
K 0.000 0.126 0.000 x4
Rb 0.000 0.350 0.500 x4
Co 0.000 0.000 0.500 x2
H 0.124 0.090 0.630 x8
H 0.174 0.000 0.331 x4

* magnetic moment: 0.7 μB per formula unit
* crystal system: monoclinic

=====

Record 3
-- stop --

## Response
Here is MgPt2Pb after structural relaxation from the Alexandria database. Energies are from PBE.

Unit cell a=5.9597 b=6.9597 c=3.5677 alpha=90.00 beta=90.00 gamma=90.00
Closest atoms and distances in Å follow each position.
Space group Cmmm (No. 65)
Unique sites:
Mg 0.0000 0.0000 0.0000  8 Pt 2.90, 2 Pb 2.98
Pt 0.2500 0.2500 0.5000  4 Pb 2.90, 4 Mg 2.90, 2 Pt 2.98
Pb 0.0000 0.5000 0.0000  8 Pt 2.90, 2 Mg 2.98

ρ, Mg/m³: 13.95
Formation energy, kJ per mole of atoms: -37
Final energy, eV per atom: -4.726

***

Here is RbNaTiSe3 after structural relaxation from the Alexandria database. Energies are from PBE.

Unit cell a=7.5488 b=14.0084 c=7.0386 alpha=90.00 beta=90.00 gamma=90.00
Closest atoms and distances in Å follow each position.
Space group Cmcm (No. 63)
Unique sites:
Rb 0.0000 0.2346 0.2500  4 Se 3.52-3.82
Na 0.0000 0.4259 0.7500  5 Se 2.86-2.92
Ti 0.0000 0.0546 0.7500  5 Se 2.35-2.55
Se 0.0000 0.2221 0.7500  1 Ti 2.35
Se 0.2230 0.0000 0.0000  2 Ti 2.55

ρ, Mg/m³: 3.51
Energy relative to the elements, uncorrected, eV/atom: -1.18
Final energy, eV per atom: -4.624

***

Here is Cd2Ni2Ir after structural relaxation from the Alexandria database. Energies are from PBE.

Unit cell a=6.2681 b=6.2681 c=4.0554 alpha=90.00 beta=90.00 gamma=90.00
Closest atoms and distances in Å follow each position.
Space group P4/mbm (No. 127)
Unique sites:
Cd 0.1778 0.3222 0.0000  6 Ni 2.66-2.81
Ni 0.1280 0.6280 0.5000  1 Ni 2.27, 2 Ir 2.47
Ir 0.0000 0.0000 0.5000  4 Ni 2.47

ρ, Mg/m³: 11.14
Formation energy, kJ per mole of atoms: 19
E above lowest polymorph, meV per atom: 0.0
Final energy, eV per atom: -4.256

***

Here is Ba5Sr5Ca after structural relaxation from the Alexandria database. Energies are from PBE.

Unit cell a=7.3406 b=7.3406 c=14.1345 alpha=90.00 beta=90.00 gamma=120.00
Closest atoms and distances in Å follow each position.
Space group P-6m2 (No. 187)
Unique sites:
Ba 0.0000 0.0000 0.2427  1 Sr 3.64, 3 Ba 4.06
Ba 0.3419 0.1709 0.0000  4 Ba 3.58-3.76
Sr 0.0000 0.0000 0.5000  2 Ba 3.64
Sr 0.3333 0.6667 0.1899  9 Ba 4.30-4.55, 1 Ca 4.38, 3 Sr 4.71
Sr 0.6667 0.3333 0.3352  3 Ba 4.44, 7 Sr 4.66-4.84, 3 Ca 4.84
Ca 0.3333 0.6667 0.5000  5 Sr 4.24-4.38

ρ, Mg/m³: 2.93
Formation energy, kJ per mole of atoms: 23
Final energy, eV per atom: -1.577

***

Here is YSc2Al9 after structural relaxation from the Alexandria database. Energies are from PBE.

Unit cell a=4.1593 b=4.1593 c=12.4529 alpha=90.00 beta=90.00 gamma=90.00
Closest atoms and distances in Å follow each position.
Space group P4/mmm (No. 123)
Unique sites:
Y 0.0000 0.0000 0.0000  12 Al 2.94-3.01
Sc 0.0000 0.0000 0.3370  12 Al 2.90-2.94
Al 0.0000 0.5000 0.1744  8 Al 2.89-3.01, 2 Sc 2.90, 2 Y 3.01
Al 0.0000 0.5000 0.5000  4 Sc 2.91, 8 Al 2.92-2.94
Al 0.5000 0.5000 0.0000  4 Y 2.94, 8 Al 3.01
Al 0.5000 0.5000 0.3359  8 Al 2.89-2.92, 4 Sc 2.94

ρ, Mg/m³: 3.25
Formation energy, kJ per mole of atoms: -42
E above lowest polymorph, meV per atom: 0.0
Final energy, eV per atom: -4.839

~~~~~

Record 1
The following is a PBE-GGA calculation of K2PuCoH6 after structural relaxation, from the Alexandria database.

a = 5.6931 Å, b = 5.6931 Å, c = 5.8491 Å
α = 90.00°, β = 90.00°, γ = 120.00°
Space group P-3m1 (No. 164)
Inequivalent atoms, fractional coordinates:
K 0.3333 0.6667 0.3670 x2
Pu 0.0000 0.0000 0.0000 x1
Co 0.0000 0.0000 0.5000 x1
H 0.1287 0.2575 0.6611 x6

* magnetic moment: 6.8 μB per formula unit
* crystal system: trigonal